Brief =
Search the contents further below for the word "with" and write out each line that has it.
Listing =
Record 1
Computed, not measured: crystalline FeMo2O10 at its relaxed geometry at the PBE with a Hubbard U level of DFT.

Properties
Space group: No. 2
E_form, kcal/mol of atoms: -23.65
Total magnetic moment, μB per formula unit: 8.00

Geometry as POSCAR:
```
FeMo2O10
1.0
6.4610 0.0000 0.0000
2.1719 7.7631 0.0000
0.0664 3.3913 8.7571
Fe Mo O
2 4 20
Direct
0.0986 0.2927 0.3684 Fe
0.9014 0.7073 0.6316 Fe
0.0939 0.8088 0.9320 Mo
0.2217 0.2160 0.7604 Mo
0.7783 0.7840 0.2396 Mo
0.9061 0.1912 0.0680 Mo
0.0481 0.4635 0.6926 O
0.0591 0.1624 0.2515 O
0.0774 0.8571 0.1271 O
0.1512 0.1854 0.5768 O
0.1934 0.1912 0.9747 O
0.2388 0.5801 0.9988 O
0.2983 0.9301 0.8515 O
0.3627 0.8318 0.5324 O
0.4772 0.2400 0.7427 O
0.4930 0.2353 0.3613 O
0.5070 0.7647 0.6387 O
0.5228 0.7600 0.2573 O
0.6373 0.1682 0.4676 O
0.7017 0.0699 0.1485 O
0.7612 0.4199 0.0012 O
0.8066 0.8088 0.0253 O
0.8488 0.8146 0.4232 O
0.9226 0.1429 0.8729 O
0.9409 0.8376 0.7485 O
0.9519 0.5365 0.3074 O
```


Record 2
Computed, not measured: crystalline Fe2Mo3O12 at its relaxed geometry at the PBE with a Hubbard U level of DFT.

Properties
Space group: No. 18
E_form, kcal/mol of atoms: -28.13
Total magnetic moment, μB per formula unit: 10.00

Geometry as POSCAR:
```
Fe2Mo3O12
1.0
8.9600 0.0000 0.0000
0.0000 10.4288 0.0000
0.0000 0.0000 10.6184
Fe Mo O
8 12 48
Direct
0.0621 0.1508 0.1412 Fe
0.0901 0.6974 0.7029 Fe
0.4099 0.1974 0.2971 Fe
0.4379 0.6508 0.8588 Fe
0.5621 0.3492 0.8588 Fe
0.5901 0.8026 0.2971 Fe
0.9099 0.3026 0.7029 Fe
0.9379 0.8492 0.1412 Fe
0.1893 0.9140 0.9337 Mo
0.1968 0.4349 0.4829 Mo
0.2201 0.7077 0.2430 Mo
0.2799 0.2077 0.7570 Mo
0.3032 0.9349 0.5171 Mo
0.3107 0.4140 0.0663 Mo
0.6893 0.5860 0.0663 Mo
0.6968 0.0651 0.5171 Mo
0.7201 0.7923 0.7570 Mo
0.7799 0.2923 0.2430 Mo
0.8032 0.5651 0.4829 Mo
0.8107 0.0860 0.9337 Mo
0.0000 0.0000 0.0239 O
0.0000 0.5000 0.5509 O
0.0362 0.7446 0.2942 O
0.0715 0.8610 0.8077 O
0.1088 0.6032 0.8561 O
0.1324 0.2932 0.6637 O
0.1443 0.3277 0.0979 O
0.1645 0.0019 0.4286 O
0.1717 0.8307 0.0984 O
0.1996 0.5419 0.3487 O
0.2259 0.7875 0.5806 O
0.2438 0.5808 0.7820 O
0.2471 0.0802 0.8986 O
0.2529 0.5802 0.1014 O
0.2562 0.0808 0.2180 O
0.2741 0.2875 0.4194 O
0.3004 0.0419 0.6513 O
0.3283 0.3307 0.9016 O
0.3355 0.5019 0.5714 O
0.3557 0.8277 0.9021 O
0.3676 0.7932 0.3363 O
0.3912 0.1032 0.1439 O
0.4285 0.3610 0.1923 O
0.4638 0.2446 0.7058 O
0.5000 0.0000 0.4491 O
0.5000 0.5000 0.9761 O
0.5362 0.7554 0.7058 O
0.5715 0.6390 0.1923 O
0.6088 0.8968 0.1439 O
0.6324 0.2068 0.3363 O
0.6443 0.1723 0.9021 O
0.6645 0.4981 0.5714 O
0.6717 0.6693 0.9016 O
0.6996 0.9581 0.6513 O
0.7259 0.7125 0.4194 O
0.7438 0.9192 0.2180 O
0.7471 0.4198 0.1014 O
0.7529 0.9198 0.8986 O
0.7562 0.4192 0.7820 O
0.7741 0.2125 0.5806 O
0.8004 0.4581 0.3487 O
0.8283 0.1693 0.0984 O
0.8355 0.9981 0.4286 O
0.8557 0.6723 0.0979 O
0.8676 0.7068 0.6637 O
0.8912 0.3968 0.8561 O
0.9285 0.1390 0.8077 O
0.9638 0.2554 0.2942 O
```


Record 3
Computed, not measured: crystalline FeMo2O10 at its relaxed geometry at the PBE with a Hubbard U level of DFT.

Properties
Space group: No. 2
E_form, kcal/mol of atoms: -20.34
Total magnetic moment, μB per formula unit: 6.00

Geometry as POSCAR:
```
FeMo2O10
1.0
6.8368 0.0000 0.0000
1.7284 6.9841 0.0000
2.4364 0.9783 9.8922
Fe Mo O
2 4 20
Direct
0.0652 0.1033 0.0896 Fe
0.9348 0.8967 0.9104 Fe
0.1528 0.1884 0.5853 Mo
0.2910 0.4538 0.8073 Mo
0.7090 0.5462 0.1927 Mo
0.8472 0.8116 0.4147 Mo
0.0068 0.8906 0.2659 O
0.0599 0.7056 0.5321 O
0.1029 0.3780 0.4069 O
0.1238 0.6893 0.8038 O
0.1651 0.9075 0.9763 O
0.1886 0.3102 0.9520 O
0.2958 0.0767 0.1605 O
0.3018 0.9863 0.5165 O
0.3086 0.3301 0.6472 O
0.4659 0.5266 0.1865 O
0.5341 0.4734 0.8135 O
0.6914 0.6699 0.3528 O
0.6982 0.0137 0.4835 O
0.7042 0.9233 0.8395 O
0.8114 0.6898 0.0480 O
0.8349 0.0925 0.0237 O
0.8762 0.3107 0.1962 O
0.8971 0.6220 0.5931 O
0.9401 0.2944 0.4679 O
0.9932 0.1094 0.7341 O
```


Record 4
Here it is =
Computed, not measured: crystalline FeMo2O10 at its relaxed geometry at the PBE with a Hubbard U level of DFT.
Computed, not measured: crystalline Fe2Mo3O12 at its relaxed geometry at the PBE with a Hubbard U level of DFT.
Computed, not measured: crystalline FeMo2O10 at its relaxed geometry at the PBE with a Hubbard U level of DFT.